Wanted
Please transcribe the whole of the data below character by character.

Contents
____________
1.
# Ba2ZnFe2CuF14 | the Materials Project database | PBE with a Hubbard U | optimized geometry
# energy relative to the elements	-2.9716	eV per atom
# total magnetic moment	11.001	μB/f.u.
data_Ba2ZnFe2CuF14
_symmetry_space_group_name_H-M 'C 1 2/c 1'
_symmetry_Int_Tables_number 15
_cell_length_a 14.028
_cell_length_b 5.294
_cell_length_c 14.704
_cell_angle_alpha 90.00
_cell_angle_beta 91.59
_cell_angle_gamma 90.00
loop_
_symmetry_equiv_pos_as_xyz
'x,y,z'
'-x,-y,-z'
'-x,y,-z+1/2'
'x,-y,z+1/2'
'x+1/2,y+1/2,z'
'-x+1/2,-y+1/2,-z'
'-x+1/2,y+1/2,-z+1/2'
'x+1/2,-y+1/2,z+1/2'
loop_
_atom_site_label
_atom_site_type_symbol
_atom_site_fract_x
_atom_site_fract_y
_atom_site_fract_z
_atom_site_occupancy
Ba1 Ba 0.187 0.076 0.124 1
Zn1 Zn 0.000 0.429 0.750 1
Fe1 Fe 0.118 0.024 0.374 1
Cu1 Cu 0.000 0.500 0.000 1
F1 F 0.008 0.101 0.661 1
F2 F 0.047 0.437 0.122 1
F3 F 0.081 0.201 0.485 1
F4 F 0.113 0.310 0.288 1
F5 F 0.138 0.271 0.956 1
F6 F 0.163 0.199 0.776 1
F7 F 0.248 0.400 0.598 1

2.
# Ba2MgCuMo2F14 | the Materials Project database | PBE with a Hubbard U | optimized geometry
# energy relative to the elements	-3.1819	eV per atom
# total magnetic moment	7.001	μB/f.u.
data_Ba2MgCuMo2F14
_symmetry_space_group_name_H-M 'P 1'
_symmetry_Int_Tables_number 1
_cell_length_a 5.305
_cell_length_b 7.676
_cell_length_c 15.215
_cell_angle_alpha 89.18
_cell_angle_beta 89.99
_cell_angle_gamma 69.88
loop_
_symmetry_equiv_pos_as_xyz
'x,y,z'
loop_
_atom_site_label
_atom_site_type_symbol
_atom_site_fract_x
_atom_site_fract_y
_atom_site_fract_z
_atom_site_occupancy
Ba1 Ba 0.000 0.000 0.000 1
Ba2 Ba 0.178 0.999 0.500 1
Ba3 Ba 0.635 0.727 0.253 1
Ba4 Ba 0.814 0.727 0.753 1
Mg1 Mg 0.345 0.363 0.126 1
Mg2 Mg 0.468 0.365 0.627 1
Cu1 Cu 0.406 0.363 0.376 1
Cu2 Cu 0.408 0.364 0.876 1
Mo1 Mo 0.000 0.126 0.250 1
Mo2 Mo 0.051 0.125 0.750 1
Mo3 Mo 0.763 0.602 0.003 1
Mo4 Mo 0.813 0.601 0.503 1
F1 F 0.021 0.385 0.210 1
F2 F 0.027 0.521 0.383 1
F3 F 0.041 0.853 0.280 1
F4 F 0.044 0.343 0.042 1
F5 F 0.045 0.655 0.919 1
F6 F 0.121 0.578 0.597 1
F7 F 0.185 0.206 0.869 1
F8 F 0.275 0.016 0.149 1
F9 F 0.283 0.852 0.780 1
F10 F 0.284 0.441 0.758 1
F11 F 0.334 0.073 0.333 1
F12 F 0.336 0.150 0.656 1
F13 F 0.361 0.287 0.495 1
F14 F 0.452 0.440 0.258 1
F15 F 0.478 0.577 0.097 1
F16 F 0.479 0.653 0.419 1
F17 F 0.530 0.875 0.973 1
F18 F 0.531 0.286 0.995 1
F19 F 0.538 0.708 0.604 1
F20 F 0.630 0.521 0.883 1
F21 F 0.692 0.150 0.156 1
F22 F 0.769 0.073 0.833 1
F23 F 0.770 0.385 0.710 1
F24 F 0.771 0.875 0.473 1
F25 F 0.786 0.206 0.369 1
F26 F 0.793 0.341 0.543 1
F27 F 0.887 0.015 0.648 1
F28 F 0.927 0.712 0.104 1

3.
# Ba2MgCuNi2F14 | the Materials Project database | PBE with a Hubbard U | optimized geometry
# energy relative to the elements	-2.8637	eV per atom
# total magnetic moment	4.557	μB/f.u.
data_Ba2MgCuNi2F14
_symmetry_space_group_name_H-M 'P 1'
_symmetry_Int_Tables_number 1
_cell_length_a 5.257
_cell_length_b 7.343
_cell_length_c 14.551
_cell_angle_alpha 91.59
_cell_angle_beta 90.18
_cell_angle_gamma 110.23
loop_
_symmetry_equiv_pos_as_xyz
'x,y,z'
loop_
_atom_site_label
_atom_site_type_symbol
_atom_site_fract_x
_atom_site_fract_y
_atom_site_fract_z
_atom_site_occupancy
Ba1 Ba 0.000 0.000 0.000 1
Ba2 Ba 0.132 0.004 0.503 1
Ba3 Ba 0.374 0.758 0.755 1
Ba4 Ba 0.507 0.759 0.246 1
Mg1 Mg 0.687 0.399 0.880 1
Mg2 Mg 0.825 0.382 0.377 1
Cu1 Cu 0.753 0.387 0.126 1
Cu2 Cu 0.754 0.382 0.626 1
Ni1 Ni 0.119 0.148 0.754 1
Ni2 Ni 0.153 0.150 0.253 1
Ni3 Ni 0.354 0.613 0.999 1
Ni4 Ni 0.389 0.616 0.499 1
F1 F 0.060 0.605 0.913 1
F2 F 0.089 0.889 0.222 1
F3 F 0.117 0.648 0.581 1
F4 F 0.123 0.541 0.113 1
F5 F 0.154 0.369 0.465 1
F6 F 0.171 0.398 0.288 1
F7 F 0.203 0.700 0.401 1
F8 F 0.302 0.058 0.849 1
F9 F 0.342 0.358 0.962 1
F10 F 0.356 0.394 0.785 1
F11 F 0.385 0.222 0.145 1
F12 F 0.392 0.117 0.670 1
F13 F 0.425 0.880 0.035 1
F14 F 0.439 0.159 0.335 1
F15 F 0.542 0.545 0.609 1
F16 F 0.591 0.877 0.528 1
F17 F 0.634 0.698 0.898 1
F18 F 0.652 0.282 0.502 1
F19 F 0.660 0.627 0.086 1
____________

Solution
1.
# Ba2ZnFe2CuF14 | the Materials Project database | PBE with a Hubbard U | optimized geometry
# energy relative to the elements	-2.9716	eV per atom
# total magnetic moment	11.001	μB/f.u.
data_Ba2ZnFe2CuF14
_symmetry_space_group_name_H-M 'C 1 2/c 1'
_symmetry_Int_Tables_number 15
_cell_length_a 14.028
_cell_length_b 5.294
_cell_length_c 14.704
_cell_angle_alpha 90.00
_cell_angle_beta 91.59
_cell_angle_gamma 90.00
loop_
_symmetry_equiv_pos_as_xyz
'x,y,z'
'-x,-y,-z'
'-x,y,-z+1/2'
'x,-y,z+1/2'
'x+1/2,y+1/2,z'
'-x+1/2,-y+1/2,-z'
'-x+1/2,y+1/2,-z+1/2'
'x+1/2,-y+1/2,z+1/2'
loop_
_atom_site_label
_atom_site_type_symbol
_atom_site_fract_x
_atom_site_fract_y
_atom_site_fract_z
_atom_site_occupancy
Ba1 Ba 0.187 0.076 0.124 1
Zn1 Zn 0.000 0.429 0.750 1
Fe1 Fe 0.118 0.024 0.374 1
Cu1 Cu 0.000 0.500 0.000 1
F1 F 0.008 0.101 0.661 1
F2 F 0.047 0.437 0.122 1
F3 F 0.081 0.201 0.485 1
F4 F 0.113 0.310 0.288 1
F5 F 0.138 0.271 0.956 1
F6 F 0.163 0.199 0.776 1
F7 F 0.248 0.400 0.598 1

2.
# Ba2MgCuMo2F14 | the Materials Project database | PBE with a Hubbard U | optimized geometry
# energy relative to the elements	-3.1819	eV per atom
# total magnetic moment	7.001	μB/f.u.
data_Ba2MgCuMo2F14
_symmetry_space_group_name_H-M 'P 1'
_symmetry_Int_Tables_number 1
_cell_length_a 5.305
_cell_length_b 7.676
_cell_length_c 15.215
_cell_angle_alpha 89.18
_cell_angle_beta 89.99
_cell_angle_gamma 69.88
loop_
_symmetry_equiv_pos_as_xyz
'x,y,z'
loop_
_atom_site_label
_atom_site_type_symbol
_atom_site_fract_x
_atom_site_fract_y
_atom_site_fract_z
_atom_site_occupancy
Ba1 Ba 0.000 0.000 0.000 1
Ba2 Ba 0.178 0.999 0.500 1
Ba3 Ba 0.635 0.727 0.253 1
Ba4 Ba 0.814 0.727 0.753 1
Mg1 Mg 0.345 0.363 0.126 1
Mg2 Mg 0.468 0.365 0.627 1
Cu1 Cu 0.406 0.363 0.376 1
Cu2 Cu 0.408 0.364 0.876 1
Mo1 Mo 0.000 0.126 0.250 1
Mo2 Mo 0.051 0.125 0.750 1
Mo3 Mo 0.763 0.602 0.003 1
Mo4 Mo 0.813 0.601 0.503 1
F1 F 0.021 0.385 0.210 1
F2 F 0.027 0.521 0.383 1
F3 F 0.041 0.853 0.280 1
F4 F 0.044 0.343 0.042 1
F5 F 0.045 0.655 0.919 1
F6 F 0.121 0.578 0.597 1
F7 F 0.185 0.206 0.869 1
F8 F 0.275 0.016 0.149 1
F9 F 0.283 0.852 0.780 1
F10 F 0.284 0.441 0.758 1
F11 F 0.334 0.073 0.333 1
F12 F 0.336 0.150 0.656 1
F13 F 0.361 0.287 0.495 1
F14 F 0.452 0.440 0.258 1
F15 F 0.478 0.577 0.097 1
F16 F 0.479 0.653 0.419 1
F17 F 0.530 0.875 0.973 1
F18 F 0.531 0.286 0.995 1
F19 F 0.538 0.708 0.604 1
F20 F 0.630 0.521 0.883 1
F21 F 0.692 0.150 0.156 1
F22 F 0.769 0.073 0.833 1
F23 F 0.770 0.385 0.710 1
F24 F 0.771 0.875 0.473 1
F25 F 0.786 0.206 0.369 1
F26 F 0.793 0.341 0.543 1
F27 F 0.887 0.015 0.648 1
F28 F 0.927 0.712 0.104 1

3.
# Ba2MgCuNi2F14 | the Materials Project database | PBE with a Hubbard U | optimized geometry
# energy relative to the elements	-2.8637	eV per atom
# total magnetic moment	4.557	μB/f.u.
data_Ba2MgCuNi2F14
_symmetry_space_group_name_H-M 'P 1'
_symmetry_Int_Tables_number 1
_cell_length_a 5.257
_cell_length_b 7.343
_cell_length_c 14.551
_cell_angle_alpha 91.59
_cell_angle_beta 90.18
_cell_angle_gamma 110.23
loop_
_symmetry_equiv_pos_as_xyz
'x,y,z'
loop_
_atom_site_label
_atom_site_type_symbol
_atom_site_fract_x
_atom_site_fract_y
_atom_site_fract_z
_atom_site_occupancy
Ba1 Ba 0.000 0.000 0.000 1
Ba2 Ba 0.132 0.004 0.503 1
Ba3 Ba 0.374 0.758 0.755 1
Ba4 Ba 0.507 0.759 0.246 1
Mg1 Mg 0.687 0.399 0.880 1
Mg2 Mg 0.825 0.382 0.377 1
Cu1 Cu 0.753 0.387 0.126 1
Cu2 Cu 0.754 0.382 0.626 1
Ni1 Ni 0.119 0.148 0.754 1
Ni2 Ni 0.153 0.150 0.253 1
Ni3 Ni 0.354 0.613 0.999 1
Ni4 Ni 0.389 0.616 0.499 1
F1 F 0.060 0.605 0.913 1
F2 F 0.089 0.889 0.222 1
F3 F 0.117 0.648 0.581 1
F4 F 0.123 0.541 0.113 1
F5 F 0.154 0.369 0.465 1
F6 F 0.171 0.398 0.288 1
F7 F 0.203 0.700 0.401 1
F8 F 0.302 0.058 0.849 1
F9 F 0.342 0.358 0.962 1
F10 F 0.356 0.394 0.785 1
F11 F 0.385 0.222 0.145 1
F12 F 0.392 0.117 0.670 1
F13 F 0.425 0.880 0.035 1
F14 F 0.439 0.159 0.335 1
F15 F 0.542 0.545 0.609 1
F16 F 0.591 0.877 0.528 1
F17 F 0.634 0.698 0.898 1
F18 F 0.652 0.282 0.502 1
F19 F 0.660 0.627 0.086 1